Input:
+++
Entry 1:
Density functional theory data (ωB97M-V/def2-TZVPD) for a 21-piece molecular cluster, H42O21 overall.

Properties
Kohn-Sham gap = 10.561 eV
Relative energy (zero: lowest compared OMol25 entry of this formula, charge and spin) = 324.77 kJ/mol
E = -1605.3004 hartree
2S+1 = 1

Cartesian coordinates (Å):
1 O 2.846 -3.252 0.803
2 H 3.585 -2.668 0.856
3 H 2.999 -3.674 -0.115
4 O -1.667 0.431 -3.425
5 H -2.388 0.546 -2.786
6 H -2.011 0.325 -4.298
7 O -2.087 -2.274 2.084
8 H -1.707 -3.042 1.659
9 H -1.670 -1.984 2.908
10 O -2.730 0.295 1.667
11 H -2.666 -0.696 1.627
12 H -3.463 0.453 2.266
13 O -2.648 1.222 -1.105
14 H -2.899 0.835 -0.265
15 H -2.702 2.150 -1.050
16 O 3.490 1.659 -4.151
17 H 4.296 2.102 -3.937
18 H 3.553 1.581 -5.130
19 O 0.072 -3.288 -1.954
20 H 0.664 -3.822 -2.480
21 H -0.019 -2.480 -2.494
22 O 3.090 -3.905 -2.150
23 H 3.217 -2.987 -2.554
24 H 3.930 -4.370 -2.378
25 O -0.430 5.275 0.370
26 H 0.408 5.512 0.684
27 H -0.325 4.353 0.129
28 O 1.655 -4.868 2.374
29 H 2.332 -4.284 1.953
30 H 2.128 -5.640 2.720
31 O -1.706 -0.531 4.531
32 H -1.511 0.139 3.832
33 H -0.921 -0.547 5.044
34 O -3.424 4.340 -0.600
35 H -3.573 5.059 -1.236
36 H -3.713 4.742 0.194
37 O 0.713 -0.319 -1.948
38 H -0.163 -0.125 -2.320
39 H 0.492 -0.347 -1.004
40 O -4.556 3.482 2.053
41 H -3.864 4.058 2.488
42 H -4.080 2.635 1.959
43 O -2.635 6.301 1.417
44 H -1.712 6.068 1.160
45 H -2.450 6.992 2.002
46 O 4.986 -1.982 -0.459
47 H 4.326 -1.830 -1.145
48 H 5.165 -1.096 -0.150
49 O -0.189 2.572 0.151
50 H 0.322 2.325 0.967
51 H 0.180 2.096 -0.600
52 O 0.487 -1.222 0.700
53 H 1.331 -1.674 0.647
54 H -0.054 -1.976 0.907
55 O -0.497 -4.049 0.750
56 H 0.148 -4.659 1.148
57 H -0.225 -4.021 -0.185
58 O -0.168 1.095 2.583
59 H -1.014 1.204 2.162
60 H 0.123 0.383 1.996
61 O 3.323 -1.013 -2.652
62 H 2.355 -0.857 -2.676
63 H 3.650 -0.747 -3.547


Entry 2:
Density functional theory data (ωB97M-V/def2-TZVPD) for a 2-piece molecular cluster, C5H14N overall.

Properties
Kohn-Sham gap = 9.951 eV
Relative energy (zero: lowest compared OMol25 entry of this formula, charge and spin) = 80.60 kJ/mol
E = -253.3876 hartree
Total charge = +1
2S+1 = 1

Cartesian coordinates (Å):
1 C 1.514 1.348 -0.289
2 C 1.443 -0.012 0.359
3 C 0.754 -1.052 -0.133
4 C 0.729 -2.405 0.551
5 H 0.937 1.444 -1.206
6 H 1.091 2.084 0.405
7 H 2.552 1.582 -0.534
8 H 1.904 -0.129 1.334
9 H 0.313 -1.039 -1.132
10 H 1.056 -2.329 1.584
11 H -0.297 -2.783 0.578
12 H 1.338 -3.106 -0.014
13 C -1.991 1.305 -0.885
14 N -1.760 0.527 0.382
15 H -1.367 0.853 -1.646
16 H -3.043 1.271 -1.141
17 H -1.699 2.332 -0.690
18 H -0.724 0.383 0.564
19 H -2.232 -0.375 0.344
20 H -2.110 1.037 1.192


Entry 3:
Density functional theory data (ωB97M-V/def2-TZVPD) for a 7-piece molecular cluster, C7H28N14O7 overall.

Properties
Expectation value of S² = 0.750
Kohn-Sham gap (spin up / spin down) = 2.545 / 9.168 eV
Relative energy (zero: lowest compared OMol25 entry of this formula, charge and spin) = 57.69 kJ/mol
E = -1576.9331 hartree
Total charge = -1
2S+1 = 2

Cartesian coordinates (Å):
1 C 1.679 -0.925 4.141
2 O 0.957 -0.418 3.368
3 N 2.916 -1.201 4.019
4 N 1.209 -1.401 5.238
5 H 3.343 -1.727 4.769
6 H 3.537 -0.823 3.318
7 H 1.487 -1.199 6.187
8 H 0.225 -1.441 5.015
9 C -0.444 2.680 1.666
10 O -1.369 1.954 1.874
11 N 0.768 2.486 2.030
12 N -0.563 3.734 0.920
13 H 0.917 1.634 2.552
14 H 1.436 3.154 1.674
15 H 0.324 4.120 0.630
16 H -1.398 3.849 0.364
17 C -3.693 1.957 -0.412
18 O -4.470 1.917 -1.369
19 N -3.133 0.865 0.085
20 N -3.349 2.954 0.335
21 H -3.151 0.079 -0.549
22 H -2.470 0.969 0.840
23 H -3.908 3.795 0.316
24 H -2.713 2.777 1.100
25 C 2.259 -3.256 -3.653
26 O 2.907 -4.005 -4.317
27 N 2.238 -3.276 -2.375
28 N 1.428 -2.278 -4.106
29 H 1.595 -2.902 -1.692
30 H 2.901 -3.986 -2.099
31 H 1.444 -1.876 -5.033
32 H 1.066 -1.734 -3.335
33 C 2.159 2.859 -1.434
34 O 1.246 3.589 -1.809
35 N 3.004 3.087 -0.457
36 N 2.541 1.746 -2.040
37 H 3.789 2.453 -0.505
38 H 3.001 4.047 -0.144
39 H 2.108 1.536 -2.927
+++
Exercise:
Give back the rows further above from the line with "-1.670 -1.984" to the end unchanged.
Worked solution:
9 H -1.670 -1.984 2.908
10 O -2.730 0.295 1.667
11 H -2.666 -0.696 1.627
12 H -3.463 0.453 2.266
13 O -2.648 1.222 -1.105
14 H -2.899 0.835 -0.265
15 H -2.702 2.150 -1.050
16 O 3.490 1.659 -4.151
17 H 4.296 2.102 -3.937
18 H 3.553 1.581 -5.130
19 O 0.072 -3.288 -1.954
20 H 0.664 -3.822 -2.480
21 H -0.019 -2.480 -2.494
22 O 3.090 -3.905 -2.150
23 H 3.217 -2.987 -2.554
24 H 3.930 -4.370 -2.378
25 O -0.430 5.275 0.370
26 H 0.408 5.512 0.684
27 H -0.325 4.353 0.129
28 O 1.655 -4.868 2.374
29 H 2.332 -4.284 1.953
30 H 2.128 -5.640 2.720
31 O -1.706 -0.531 4.531
32 H -1.511 0.139 3.832
33 H -0.921 -0.547 5.044
34 O -3.424 4.340 -0.600
35 H -3.573 5.059 -1.236
36 H -3.713 4.742 0.194
37 O 0.713 -0.319 -1.948
38 H -0.163 -0.125 -2.320
39 H 0.492 -0.347 -1.004
40 O -4.556 3.482 2.053
41 H -3.864 4.058 2.488
42 H -4.080 2.635 1.959
43 O -2.635 6.301 1.417
44 H -1.712 6.068 1.160
45 H -2.450 6.992 2.002
46 O 4.986 -1.982 -0.459
47 H 4.326 -1.830 -1.145
48 H 5.165 -1.096 -0.150
49 O -0.189 2.572 0.151
50 H 0.322 2.325 0.967
51 H 0.180 2.096 -0.600
52 O 0.487 -1.222 0.700
53 H 1.331 -1.674 0.647
54 H -0.054 -1.976 0.907
55 O -0.497 -4.049 0.750
56 H 0.148 -4.659 1.148
57 H -0.225 -4.021 -0.185
58 O -0.168 1.095 2.583
59 H -1.014 1.204 2.162
60 H 0.123 0.383 1.996
61 O 3.323 -1.013 -2.652
62 H 2.355 -0.857 -2.676
63 H 3.650 -0.747 -3.547


Entry 2:
Density functional theory data (ωB97M-V/def2-TZVPD) for a 2-piece molecular cluster, C5H14N overall.

Properties
Kohn-Sham gap = 9.951 eV
Relative energy (zero: lowest compared OMol25 entry of this formula, charge and spin) = 80.60 kJ/mol
E = -253.3876 hartree
Total charge = +1
2S+1 = 1

Cartesian coordinates (Å):
1 C 1.514 1.348 -0.289
2 C 1.443 -0.012 0.359
3 C 0.754 -1.052 -0.133
4 C 0.729 -2.405 0.551
5 H 0.937 1.444 -1.206
6 H 1.091 2.084 0.405
7 H 2.552 1.582 -0.534
8 H 1.904 -0.129 1.334
9 H 0.313 -1.039 -1.132
10 H 1.056 -2.329 1.584
11 H -0.297 -2.783 0.578
12 H 1.338 -3.106 -0.014
13 C -1.991 1.305 -0.885
14 N -1.760 0.527 0.382
15 H -1.367 0.853 -1.646
16 H -3.043 1.271 -1.141
17 H -1.699 2.332 -0.690
18 H -0.724 0.383 0.564
19 H -2.232 -0.375 0.344
20 H -2.110 1.037 1.192


Entry 3:
Density functional theory data (ωB97M-V/def2-TZVPD) for a 7-piece molecular cluster, C7H28N14O7 overall.

Properties
Expectation value of S² = 0.750
Kohn-Sham gap (spin up / spin down) = 2.545 / 9.168 eV
Relative energy (zero: lowest compared OMol25 entry of this formula, charge and spin) = 57.69 kJ/mol
E = -1576.9331 hartree
Total charge = -1
2S+1 = 2

Cartesian coordinates (Å):
1 C 1.679 -0.925 4.141
2 O 0.957 -0.418 3.368
3 N 2.916 -1.201 4.019
4 N 1.209 -1.401 5.238
5 H 3.343 -1.727 4.769
6 H 3.537 -0.823 3.318
7 H 1.487 -1.199 6.187
8 H 0.225 -1.441 5.015
9 C -0.444 2.680 1.666
10 O -1.369 1.954 1.874
11 N 0.768 2.486 2.030
12 N -0.563 3.734 0.920
13 H 0.917 1.634 2.552
14 H 1.436 3.154 1.674
15 H 0.324 4.120 0.630
16 H -1.398 3.849 0.364
17 C -3.693 1.957 -0.412
18 O -4.470 1.917 -1.369
19 N -3.133 0.865 0.085
20 N -3.349 2.954 0.335
21 H -3.151 0.079 -0.549
22 H -2.470 0.969 0.840
23 H -3.908 3.795 0.316
24 H -2.713 2.777 1.100
25 C 2.259 -3.256 -3.653
26 O 2.907 -4.005 -4.317
27 N 2.238 -3.276 -2.375
28 N 1.428 -2.278 -4.106
29 H 1.595 -2.902 -1.692
30 H 2.901 -3.986 -2.099
31 H 1.444 -1.876 -5.033
32 H 1.066 -1.734 -3.335
33 C 2.159 2.859 -1.434
34 O 1.246 3.589 -1.809
35 N 3.004 3.087 -0.457
36 N 2.541 1.746 -2.040
37 H 3.789 2.453 -0.505
38 H 3.001 4.047 -0.144
39 H 2.108 1.536 -2.927